The Burning of the Henry Clay

There is considerable poetry in the harmony of a steam engine. Within its boiler the elemental forces of fire and water are tricked into cooperation, becoming the first of humanity’s creations to liberate us from the limits of mere animal strength. The invention of the steam engine was an achievement equal to breaking the sound barrier and the creation of the internet; tangible proof that the power of the mind could be applied to cross the threshold of physical barriers once thought absolute and insurmountable.

Vertical Steam Engine from “Growth of Industrial Art” Published by the United States Patent Office, 1888

Vertical Steam Engine from “Growth of Industrial Art” Published by the United States Patent Office, 1888

If the invention of the steam engine was equivalent to breaking the sound barrier, then the marriage of steam engines and wooden ships was something akin to the initial development of supersonic jets - the learning curve was immense and the end results were often imperfect. For millennia sailors had utilized the wind, tide, and brute strength to conquer the vastness of the sea and the power of Earth’s greatest rivers. The steamboat subverted this ancient and venerable tradition virtually overnight. These vessels dispensed with sails in lieu of mechanical contrivances and relied on fire (once the sailor’s great foe) to spurn the wind which had so reliably borne humanity to unknown reaches for generations. It is no wonder so many doubted and feared the steamboat upon its introduction, and less shocking still that the fears of many would prove well founded as steamships grew in popularity and number during the Antebellum period.

The earliest days of steam transportation on the Hudson River are recorded in graveyards. From New York to Waterford crumbling tombstones give mute testament to an industry fatally plagued by greed and hubris whose only victims were the innocent. Expedience rather than prudence governed the operation of these vessels, resulting in a steady stream of accidents that were so frequent as to almost appear comical in retrospect. Shipping companies competed neck-in-neck billing their steamboats as safer than others, while some deigned to tow their most prudent passengers in comfortable “safety barges” ostensibly beyond the range of the steamboat’s boilers in the likely advent of a mishap. Undetectable manufacturing defects in machinery, poor business practices, and the fundamental design of the ships themselves were bad enough, but all this was compounded by the desire of captains to lay claim to the title of “fastest” on the river. 

Steamboat races are a subject which has been dealt with in numerous articles. The grand summary is that these races were categorically a bad idea and often downright dangerous. Captains would push their machines literally to the melting point causing timbers to buckle and boilers to fail - sometimes catastrophically. This carnage was perpetuated in the name of vanity, though some legendary captains refused invitations to race in the name of their passengers’ safety. Such was not the case when Captains Isaac Smith and John Tallman agreed to a competition between the Henry Clay and Armenia on July 28, 1852.

Three days later the Greene County Whig carried a small announcement in that week’s edition:

Attached: materials data
┌──
The following is a PBE calculation of an optimized crystal structure of La9Sb5O5, from the Materials Project database.

mass density	6.2	Mg/m³
formation enthalpy at 0 K	-2.416	eV per atom

Unit cell a=10.473 b=10.473 c=9.398 alpha=90.00 beta=90.00 gamma=90.00
Space group P4/n (No. 85, origin choice 2)
Inequivalent atoms, fractional coordinates:
La1 0.022 0.331 0.002 x8
La2 0.046 0.854 0.656 x8
La3 0.250 0.250 0.671 x2
Sb1 0.053 0.847 0.298 x8
Sb2 0.250 0.250 0.310 x2
O1 0.026 0.871 0.909 x8
O2 0.250 0.250 0.928 x2

* * * * *

## w
# CaW2O4

Crystalline CaW2O4 at its relaxed geometry (PBE+U, the Materials Project database).

The structure belongs to space group Fd-3m (No. 227, origin choice 2); the cell edges are 9.3832, 9.3832 and 9.3832 Å and the angles 90.00°, 90.00° and 90.00°. The asymmetric unit holds Ca at (0.1250, 0.1250, 0.1250), W at (0.0000, 0.0000, 0.5000) and O at (0.0159, 0.0159, 0.7341).

## x
# CaW2O4

Crystalline CaW2O4 at its relaxed geometry (PBE+U, the Materials Project database).

The structure belongs to space group Cmcm (No. 63); the cell edges are 3.2594, 10.6595 and 10.5129 Å and the angles 90.00°, 90.00° and 90.00°. The asymmetric unit holds Ca at (0.0000, 0.1152, 0.2500), W at (0.0000, 0.3676, 0.0715), O at (0.0000, 0.0000, 0.0000), O at (0.0000, 0.2633, 0.6104) and O at (0.0000, 0.4659, 0.2500).

Energy above the most stable structure, in kJ/mol of atoms: w 0.0; x 5.6

* * * * *

(1)
VASP calculation (PBE-GGA) on a relaxed structure of BaMg.

Space group   No. 51
Electronic total energy   -1.815 eV per atom
Calculated formation energy   -0.11 eV per formula unit

abc: 4.3848 6.1850 6.1970
angles: 90.00 90.00 90.00
Closest atoms and distances in Å follow each position.
Sites, in units of the cell vectors:
Ba1 0.0000 0.2436 0.2500  8 Mg 3.78-3.80
Mg1 0.5000 0.7419 0.2500  8 Ba 3.78-3.80
Mg2 0.5000 0.2581 0.7500  8 Ba 3.78-3.80
Ba2 0.0000 0.7564 0.7500  8 Mg 3.78-3.80

---

(2)
VASP calculation (PBE-GGA) on a relaxed structure of PrTl2InSe4.

Space group   No. 121
Electronic total energy   -4.132 eV per atom
Calculated formation energy   -8.70 eV per formula unit

abc: 6.7917 6.7917 6.7917
angles: 65.07 73.19 106.81
Closest atoms and distances in Å follow each position.
Sites, in units of the cell vectors:
Se1 0.5000 0.3441 0.7911  1 In 2.65, 1 Pr 2.91
Se2 0.5000 0.7089 0.1559  1 In 2.65, 1 Pr 2.91
In1 0.5000 0.7500 0.7500  4 Se 2.65
Se3 0.8648 0.1559 0.3441  1 In 2.65, 1 Pr 2.91
Tl1 0.0000 0.2500 0.7500  8 Se 3.39-3.59, 2 Tl 3.65
Pr1 0.5000 0.2500 0.2500  4 Se 2.91
Tl2 0.0000 0.7500 0.2500  8 Se 3.39-3.59, 2 Tl 3.65
Se4 0.1352 0.7911 0.7089  1 In 2.65, 1 Pr 2.91

---

(3)
VASP calculation (PBE-GGA) on a relaxed structure of SnO2.

Space group   No. 60
Electronic total energy   -6.267 eV per atom
Calculated formation energy   -6.27 eV per formula unit

abc: 4.7930 5.3134 5.8308
angles: 90.00 90.00 90.00
Closest atoms and distances in Å follow each position.
Sites, in units of the cell vectors:
└──

“The Bodies of Mr. and Mrs. Ray and their Daughter, who were drowned at the burning of the Henry Clay, passed through this village yesterday, on their way to Durham, for internment. Mr. Ray was a son-in-law of S. W. D. Cook, who was saved.” Greene C…

“The Bodies of Mr. and Mrs. Ray and their Daughter, who were drowned at the burning of the Henry Clay, passed through this village yesterday, on their way to Durham, for internment. Mr. Ray was a son-in-law of S. W. D. Cook, who was saved.” Greene County Whig, August 1, 1852 - Collections of the Vedder Research Library.

The churchyard of St. Paul’s Lutheran Church in Oak Hill is a place out of time. Harkening to the holy grounds of New England’s old houses of worship, gravestones here creep right to the back walls of the Church edifice. The humble aspect of the building itself belies the prominence and affluence of the community it originally served; a fact enshrined in the stately marble stones of the hallowed dead and perhaps more so in the grand homes of the neighborhood around the Church itself. Behind St. Paul’s lie lawyers, industrialists, financiers, gentleman farmers, and business owners who rode the crest of a transformative wave of industrialization in the years prior to the Civil War. These people were masters of change who embraced the most exciting and new opportunities the young republic had to offer - in a sense becoming pioneers of the Nation’s industrial frontier and harbingers of the era to come. 

It is a grievous irony therefore that this same social class would end up being the victims of one of the great tragedies of their time, and that this tragedy would be brought about by the invention that typified the age. The Henry Clay and Armenia left Albany on the morning of July 28 racing neck-in-neck. These two ships were products of the same celebrated owner and builder (Thomas Collyer), a fact which only raised the stakes for the crews who knew victory or defeat would rest solely on their shoulders. Several hours into the race the Henry Clay held a comfortable lead of almost four miles over the Armenia, and such a distance could not be closed with the boats so near the finish line in New York. Just off Yonkers, as the Clay steamed towards victory, somebody on board noticed flames roaring up from the vicinity of the engine compartments. Efforts to suppress the fire were insufficient, and the fire quickly engulfed the midship. The vessel’s pilot made for shore and drove the Henry Clay at speed upon the banks of the Hudson where those near the bow could make good their escape. Unfortunately, those who found themselves trapped in the comfortable accommodations in the after section of the boat could not make their way forward to the shoreline and faced a terrifying choice between the approaching inferno and the roiling water below. 

Currier Lithograph of the Burning of the Henry Clay, 1852.  Courtesy of the Hudson River Maritime Museum, Kingston, NY

Currier Lithograph of the Burning of the Henry Clay, 1852.
Courtesy of the Hudson River Maritime Museum, Kingston, NY

The class of passengers traveling on the Henry Clay that day was of a particularly affluent nature. On board were statesmen, judges, artists, authors, and relations of the great notables of the era. Andrew Jackson Downing, one of the 19th century’s most influential architects and a pioneer in landscape architecture and horticulture, was counted among the passengers. His charred remains would not be found until several days after the accident. The flames themselves killed Downing and a number of others, but drowning would take the lion’s share of victims. The ship’s paddle wheels didn’t stop turning in time for many who had chosen to leap from the aft section into the Hudson - the engines, out of control since flames had driven the engineers from their stations, washed victims in the water away from shore out into the channel. This continued until the boilers themselves succumbed, releasing a scalding breath of steam which killed others that the Hudson and approaching flames had so far spared.

It was in the water that the Ray and Cook families of Oak Hill hedged their bet. Mrs. Cook pleaded to her husband that he escape, and probably found small comfort in knowing her grandchildren at least made it to the water. At this point there is conflict in extant accounts, but by all indications Mr. and Mrs. Cook would end up surviving the calamity only to find that their daughter, son-in-law, and granddaughter met their end in the water that had seemed sure salvation from the burning wreck. In the same newspaper which carried this tale of the Cook family’s tragedy the editor of the Greene County Whig ran a statement that he was hedging bets on the Alida as contender for the fastest and most reliable boat on the River, clearly oblivious to the tastelessness of the juxtaposition.

The burning of the Henry Clay, followed by a similar and equally tragic explosion on the Reindeer that September, sparked uproar at the management of the steam passenger and freight industry on the Hudson. Similar to the calamitous sinking of the Titanic sixty years later, the people most affected by the burning of the Henry Clay were of the same social class that thought themselves impervious to such tragedies by nature of their money, influence, and importance. Indeed, these people ended up reaping the bitter harvest of their industrial speculations and business practices, and it would be but a short time after the Rays were laid to rest at St. Paul’s that reformists would call for a reassessment of the industry - the silver lining to a tragedy whose victims were celebrities and notables.

The grave of William, Abbe Ann, and Caroline Ray who were all killed in the burning of the Henry Clay on July 28, 1852. Buried at St. Paul’s cemetery, Oak Hill, Durham Township. [Palmer Photo]

The grave of William, Abbe Ann, and Caroline Ray who were all killed in the burning of the Henry Clay on July 28, 1852. Buried at St. Paul’s cemetery, Oak Hill, Durham Township. [Palmer Photo]

The Ray family would never know it, but the accident which claimed their lives paved the way for a golden age of steamships on the Hudson. In the face of new regulations passed by Congress and the New York State Legislature operators found themselves incapable of running their companies in a fly-by-night manner. With the practice of racing outlawed the steamship industry grew into a safe and reliable operation which offered legitimate competition with rival rail lines in the Hudson Valley for nearly another eighty years. In the end this legendary industry would simply fall victim to the same technological innovation which had brought the steamboat to the forefront a century previously, relegating the Ray family to the footnotes in a story of bygone times. 

- Jonathan Palmer, Deputy Greene County Historian

Banner photo: “Black and White Photograph of the ‘Henry Clay’ by J. Bard” courtesy of the Hudson River Maritime Museum at Kingston, New York.